**Request**
What is needed: print everything further below word for word.

**Given**
********
Record 1
This entry pairs a crystal structure of LaPrHg2 with its simulated powder XRD pattern. Radiation: λ = 1.5418 Å (Cu Kα). Structure: a cell relaxed with PBE.
Neutral-atom scattering factors, no anomalous dispersion.

Structural model:
```
data_LaPrHg2
_cell_length_a 7.7899
_cell_length_b 7.7899
_cell_length_c 7.7899
_cell_angle_alpha 90.00
_cell_angle_beta 90.00
_cell_angle_gamma 90.00
_symmetry_space_group_name_H-M 'F m -3 m'
_symmetry_Int_Tables_number 225
_symmetry_space_group_name_Hall '-F 4 2 3'
loop_
_atom_site_label
_atom_site_type_symbol
_atom_site_fract_x
_atom_site_fract_y
_atom_site_fract_z
La1 La 0.0000 0.0000 0.0000
Pr1 Pr 0.0000 0.0000 0.5000
Hg1 Hg 0.2500 0.2500 0.2500
```

Largest 8 diffraction maxima, in order of rising 2θ, 2θ from 10° to 90°:
h k l  2θ/deg  I/Imax
2 0 0  22.83  4
2 2 0  32.51  100
4 0 0  46.64  19
4 2 0  52.54  2
4 2 2  58.00  39
4 4 0  68.09  12
6 2 0  77.50  17
4 4 4  86.57  4

***

Record 2
This entry pairs a crystal structure of La2SnHg with its simulated powder XRD pattern. Radiation: λ = 1.5418 Å (Cu Kα). Structure: a cell relaxed with PBE.
Neutral-atom scattering factors, no anomalous dispersion.

Structural model:
```
data_La2SnHg
_cell_length_a 7.8718
_cell_length_b 7.8718
_cell_length_c 7.8718
_cell_angle_alpha 90.00
_cell_angle_beta 90.00
_cell_angle_gamma 90.00
_symmetry_space_group_name_H-M 'F m -3 m'
_symmetry_Int_Tables_number 225
_symmetry_space_group_name_Hall '-F 4 2 3'
loop_
_atom_site_label
_atom_site_type_symbol
_atom_site_fract_x
_atom_site_fract_y
_atom_site_fract_z
La1 La 0.2500 0.2500 0.2500
Sn1 Sn 0.0000 0.0000 0.0000
Hg1 Hg 0.0000 0.0000 0.5000
```

Largest 8 diffraction maxima, in order of rising 2θ, 2θ from 10° to 90°:
h k l  2θ/deg  I/Imax
1 1 1  19.53  4
2 2 0  32.16  100
3 1 1  37.91  2
4 0 0  46.13  19
4 2 2  57.34  39
4 4 0  67.28  12
6 2 0  76.54  17
4 4 4  85.45  4

***

Record 3
This entry pairs a crystal structure of LaTlHg2 with its simulated powder XRD pattern. Radiation: λ = 1.5418 Å (Cu Kα). Structure: a cell relaxed with PBE.
Neutral-atom scattering factors, no anomalous dispersion.

Structural model:
```
data_LaTlHg2
_cell_length_a 7.6006
_cell_length_b 7.6006
_cell_length_c 7.6006
_cell_angle_alpha 90.00
_cell_angle_beta 90.00
_cell_angle_gamma 90.00
_symmetry_space_group_name_H-M 'F m -3 m'
_symmetry_Int_Tables_number 225
_symmetry_space_group_name_Hall '-F 4 2 3'
loop_
_atom_site_label
_atom_site_type_symbol
_atom_site_fract_x
_atom_site_fract_y
_atom_site_fract_z
La1 La 0.0000 0.0000 0.0000
Tl1 Tl 0.0000 0.0000 0.5000
Hg1 Hg 0.2500 0.2500 0.2500
```

Largest 8 diffraction maxima, in order of rising 2θ, 2θ from 10° to 90°:
h k l  2θ/deg  I/Imax
1 1 1  20.24  2
2 2 0  33.34  100
3 1 1  39.32  1
4 0 0  47.87  18
4 2 2  59.59  39
4 4 0  70.03  12
6 2 0  79.81  17
4 4 4  89.29  4

***

Record 4
This entry pairs a crystal structure of LiHg with its simulated powder XRD pattern. Radiation: λ = 1.5418 Å (Cu Kα). Structure: a cell relaxed with PBE.
Neutral-atom scattering factors, no anomalous dispersion.

Structural model:
```
data_LiHg
_cell_length_a 3.3448
_cell_length_b 3.3448
_cell_length_c 3.3448
_cell_angle_alpha 90.00
_cell_angle_beta 90.00
_cell_angle_gamma 90.00
_symmetry_space_group_name_H-M 'P m -3 m'
_symmetry_Int_Tables_number 221
_symmetry_space_group_name_Hall '-P 4 2 3'
loop_
_atom_site_label
_atom_site_type_symbol
_atom_site_fract_x
_atom_site_fract_y
_atom_site_fract_z
Li1 Li 0.0000 0.0000 0.0000
Hg1 Hg 0.5000 0.5000 0.5000
```

Largest 8 diffraction maxima, in order of rising 2θ, 2θ from 10° to 90°:
h k l  2θ/deg  I/Imax
1 0 0  26.65  100
1 1 0  38.05  89
1 1 1  47.06  30
2 0 0  54.90  16
2 1 0  62.04  39
2 1 1  68.74  32
2 2 0  81.37  10
3 0 0  87.49  21

***

Record 5
This entry pairs a crystal structure of LiLuHg2 with its simulated powder XRD pattern. Radiation: λ = 1.5418 Å (Cu Kα). Structure: a cell relaxed with PBE.
Neutral-atom scattering factors, no anomalous dispersion.

Structural model:
```
data_LiLuHg2
********

**Outcome**
Record 1
This entry pairs a crystal structure of LaPrHg2 with its simulated powder XRD pattern. Radiation: λ = 1.5418 Å (Cu Kα). Structure: a cell relaxed with PBE.
Neutral-atom scattering factors, no anomalous dispersion.

Structural model:
```
data_LaPrHg2
_cell_length_a 7.7899
_cell_length_b 7.7899
_cell_length_c 7.7899
_cell_angle_alpha 90.00
_cell_angle_beta 90.00
_cell_angle_gamma 90.00
_symmetry_space_group_name_H-M 'F m -3 m'
_symmetry_Int_Tables_number 225
_symmetry_space_group_name_Hall '-F 4 2 3'
loop_
_atom_site_label
_atom_site_type_symbol
_atom_site_fract_x
_atom_site_fract_y
_atom_site_fract_z
La1 La 0.0000 0.0000 0.0000
Pr1 Pr 0.0000 0.0000 0.5000
Hg1 Hg 0.2500 0.2500 0.2500
```

Largest 8 diffraction maxima, in order of rising 2θ, 2θ from 10° to 90°:
h k l  2θ/deg  I/Imax
2 0 0  22.83  4
2 2 0  32.51  100
4 0 0  46.64  19
4 2 0  52.54  2
4 2 2  58.00  39
4 4 0  68.09  12
6 2 0  77.50  17
4 4 4  86.57  4

***

Record 2
This entry pairs a crystal structure of La2SnHg with its simulated powder XRD pattern. Radiation: λ = 1.5418 Å (Cu Kα). Structure: a cell relaxed with PBE.
Neutral-atom scattering factors, no anomalous dispersion.

Structural model:
```
data_La2SnHg
_cell_length_a 7.8718
_cell_length_b 7.8718
_cell_length_c 7.8718
_cell_angle_alpha 90.00
_cell_angle_beta 90.00
_cell_angle_gamma 90.00
_symmetry_space_group_name_H-M 'F m -3 m'
_symmetry_Int_Tables_number 225
_symmetry_space_group_name_Hall '-F 4 2 3'
loop_
_atom_site_label
_atom_site_type_symbol
_atom_site_fract_x
_atom_site_fract_y
_atom_site_fract_z
La1 La 0.2500 0.2500 0.2500
Sn1 Sn 0.0000 0.0000 0.0000
Hg1 Hg 0.0000 0.0000 0.5000
```

Largest 8 diffraction maxima, in order of rising 2θ, 2θ from 10° to 90°:
h k l  2θ/deg  I/Imax
1 1 1  19.53  4
2 2 0  32.16  100
3 1 1  37.91  2
4 0 0  46.13  19
4 2 2  57.34  39
4 4 0  67.28  12
6 2 0  76.54  17
4 4 4  85.45  4

***

Record 3
This entry pairs a crystal structure of LaTlHg2 with its simulated powder XRD pattern. Radiation: λ = 1.5418 Å (Cu Kα). Structure: a cell relaxed with PBE.
Neutral-atom scattering factors, no anomalous dispersion.

Structural model:
```
data_LaTlHg2
_cell_length_a 7.6006
_cell_length_b 7.6006
_cell_length_c 7.6006
_cell_angle_alpha 90.00
_cell_angle_beta 90.00
_cell_angle_gamma 90.00
_symmetry_space_group_name_H-M 'F m -3 m'
_symmetry_Int_Tables_number 225
_symmetry_space_group_name_Hall '-F 4 2 3'
loop_
_atom_site_label
_atom_site_type_symbol
_atom_site_fract_x
_atom_site_fract_y
_atom_site_fract_z
La1 La 0.0000 0.0000 0.0000
Tl1 Tl 0.0000 0.0000 0.5000
Hg1 Hg 0.2500 0.2500 0.2500
```

Largest 8 diffraction maxima, in order of rising 2θ, 2θ from 10° to 90°:
h k l  2θ/deg  I/Imax
1 1 1  20.24  2
2 2 0  33.34  100
3 1 1  39.32  1
4 0 0  47.87  18
4 2 2  59.59  39
4 4 0  70.03  12
6 2 0  79.81  17
4 4 4  89.29  4

***

Record 4
This entry pairs a crystal structure of LiHg with its simulated powder XRD pattern. Radiation: λ = 1.5418 Å (Cu Kα). Structure: a cell relaxed with PBE.
Neutral-atom scattering factors, no anomalous dispersion.

Structural model:
```
data_LiHg
_cell_length_a 3.3448
_cell_length_b 3.3448
_cell_length_c 3.3448
_cell_angle_alpha 90.00
_cell_angle_beta 90.00
_cell_angle_gamma 90.00
_symmetry_space_group_name_H-M 'P m -3 m'
_symmetry_Int_Tables_number 221
_symmetry_space_group_name_Hall '-P 4 2 3'
loop_
_atom_site_label
_atom_site_type_symbol
_atom_site_fract_x
_atom_site_fract_y
_atom_site_fract_z
Li1 Li 0.0000 0.0000 0.0000
Hg1 Hg 0.5000 0.5000 0.5000
```

Largest 8 diffraction maxima, in order of rising 2θ, 2θ from 10° to 90°:
h k l  2θ/deg  I/Imax
1 0 0  26.65  100
1 1 0  38.05  89
1 1 1  47.06  30
2 0 0  54.90  16
2 1 0  62.04  39
2 1 1  68.74  32
2 2 0  81.37  10
3 0 0  87.49  21

***

Record 5
This entry pairs a crystal structure of LiLuHg2 with its simulated powder XRD pattern. Radiation: λ = 1.5418 Å (Cu Kα). Structure: a cell relaxed with PBE.
Neutral-atom scattering factors, no anomalous dispersion.

Structural model:
```
data_LiLuHg2